
  • 网络georgian
  1. 在十月格鲁吉亚人将选出新的总统。

    Georgians will elect a new president in October .

  2. 俄国人一向对狡猾的格鲁吉亚人通过向他们出售商品来赚取他们的钱而感到十分不满。

    Muscovites have always resented the crafty Georgians minting money out of them by selling commodities they need .

  3. 格鲁吉亚人改变了他们的生活方式,羊群也不再到处都是了。

    Georgian people have changed their lifestyle and sheep are no longer widespread .

  4. 但是其他格鲁吉亚人看到的是超过商业的东西。

    But other Georgians see more than commerce .

  5. “格鲁吉亚人什么都有,”一个俄罗斯士兵说。

    " They [ the Georgians ] had everything ," one Russian soldier says .

  6. 可是,许多格鲁吉亚人可并不这么认为。

    However , many Georgians did not agree .

  7. 格鲁吉亚人和阿塞拜疆人也一样。

    As well as Georgians and Azerbaijanis .

**Unrelated to this page: materials data**
<<<
## BaMoP2O8 (PBE with a Hubbard U)

Data for crystalline BaMoP2O8 at its relaxed geometry.

energy above the lowest structure with this stoichiometry: 9.5 meV per atom
raw total energy: -7.34 eV per atom
density: 4.08 g/cm3
spin magnetization: 2.0 μB per formula unit

abc: 5.0008 5.0008 7.9516
angles: 90.00 90.00 120.00
Space group P-3 (No. 147)
Unique sites:
Ba 0.0000 0.0000 0.0000 (multiplicity 1)
Mo 0.0000 0.0000 0.5000 (multiplicity 1)
P 0.3333 0.6667 0.7260 (multiplicity 2)
O 0.0692 0.3494 0.6615 (multiplicity 6)
O 0.3333 0.6667 0.9180 (multiplicity 2)
>>>

  8. 格鲁吉亚人穿“卓卡”已有一千多年历史,近年开始重新流行起来。

    Worn by Georgians for over a thousand years , it has since started making a comeback .

  9. 其中大有文章的是俄国人已被最新的渐渐崭露的格鲁吉亚人英雄传说深深迷住了。

    Thereby hangs a tale and Russian are spellbound by the latest Georgian saga which has been unfolding .

  10. 很多格鲁吉亚人,尤其是遭受战斗蹂躏地区的人希望生活恢复正常。

Data records, kept here for reference
/*
(1)
! KLi2Mg, relaxed, DFT PBE-GGA; values from VASP
! Formation enthalpy at 0 K in eV per atom: 0.139
! Symmetry: Pm
&SYSTEM
  ibrav = 0, nat = 4, ntyp = 3
/
ATOMIC_SPECIES
K 39.10 K.upf
Li 6.94 Li.upf
Mg 24.30 Mg.upf
ATOMIC_POSITIONS crystal
K 0.500 0.809 0.755
Li 0.000 0.153 0.066
Li 0.500 0.053 0.270
Mg 0.000 0.486 0.409
CELL_PARAMETERS angstrom
-0.709 -0.543 -5.051
-3.113 -0.980 0.542
-3.720 6.461 -0.173

(2)
! PtSeBr, relaxed, DFT PBE-GGA; values from VASP
! ΔE_f (raw) in eV/atom: 0.426
! Symmetry: F-43m
&SYSTEM
  ibrav = 0, nat = 3, ntyp = 3
/
ATOMIC_SPECIES
Br 79.90 Br.upf
Pt 195.08 Pt.upf
Se 78.96 Se.upf
ATOMIC_POSITIONS crystal
Br 0.500 0.500 0.500
Pt 0.750 0.750 0.750
Se 0.000 0.000 0.000
CELL_PARAMETERS angstrom
-1.596 -3.581 -2.341
2.842 -3.329 -1.299
-0.233 -4.105 1.986

Number 1: energy -1.491 eV per atom. Number 2: energy -3.307 eV per atom.

* * * * *

CsCdBiSe3, optimized geometry, DFT PBE; energy relative to the elements, uncorrected = -0.742 eV/atom; electronic total energy = -41.12 eV for the cell shown; space group = P2_1/m, No. 11; magnetic moment = 0.00 μB per atom
1.0
4.394 0.000 0.000
0.000 9.789 0.624
0.000 -4.079 9.790
Cs Cd Bi Se
2 2 2 6
direct
0.250 0.207 0.242
0.750 0.793 0.758
0.250 0.090 0.613
0.750 0.910 0.387
0.250 0.664 0.127
0.750 0.336 0.873
0.750 0.870 0.126
0.250 0.130 0.874
0.250 0.797 0.465
0.750 0.203 0.535
0.750 0.461 0.148
0.250 0.539 0.852

* * * * *

Er5Ga4 PBE-GGA relaxed; D(E_F) = 0.67 states/eV/atom; DFT formation energy = -562.3 meV per atom; E_tot = -0.327 Ry/atom; size of the total moment = 0.000 μB/atom
1.0
5.3933 -2.2000 0.0000
5.3933 2.2000 0.0000
-3.8334 0.0000 9.1386
Er Ga
5 4
direct
0.0000 0.0000 0.0000
0.1011 0.1011 0.3907
0.2438 0.2438 0.8247
0.7562 0.7562 0.1753
0.8989 0.8989 0.6093
0.3810 0.3810 0.3903
0.4499 0.4499 0.1656
0.5501 0.5501 0.8344
0.6190 0.6190 0.6097

* * * * *

NaAlSn: relaxed, PBE.

Values from the calculation:
**Calculated formation energy**: -15.0 kJ/mol of formula units

Unit cell a=5.2247 b=3.3048 c=9.3338 alpha=71.67 beta=102.88 gamma=87.94
With the nearest neighbours (Å) after each atom.
Fractional coordinates of all 6 atoms:
Na 0.6042 0.9337 0.9742  5 Sn 3.19-3.30, 2 Na 3.30, 1 Al 3.40
Na 0.2153 0.1885 0.2387  5 Sn 3.19-3.30, 2 Na 3.30, 1 Al 3.40
Al 0.1912 0.2885 0.6116  2 Al 2.72-2.96, 3 Sn 2.77-3.03
Al 0.6281 0.8343 0.6014  2 Al 2.72-2.96, 3 Sn 2.78-3.03
Sn 0.7618 0.5837 0.3550  3 Al 2.77-3.03
Sn 0.0578 0.5391 0.8580  3 Al 2.78-3.03

LiAgSe2: relaxed, PBE.

Values from the calculation:
**VASP energy**: -3.157 eV per atom

Unit cell a=8.7941 b=8.7941 c=8.7941 alpha=21.82 beta=21.82 gamma=21.82
With the nearest neighbours (Å) after each atom.
Fractional coordinates of all 4 atoms:
Se 0.9032 0.9032 0.9032  1 Ag 2.49, 3 Li 2.63
Se 0.0968 0.0968 0.0968  1 Ag 2.49, 3 Li 2.63
Ag 0.0000 0.0000 0.0000  2 Se 2.49
Li 0.5000 0.5000 0.5000  6 Se 2.63

K2LiTc: relaxed, PBE.

Values from the calculation:
**Calculated formation energy**: 361.1 kJ/mol of formula units
*/
The data records stop here

    Making life normal again is what many Georgians hope , especially in these areas ravaged by fighting .

  11. 历史学家称700000名格鲁吉亚人死于斯大林统治期间—二战期间枪击,流亡或战斗中丧生。

    Historians say 700000 Georgians died under Stalin 's rule-shot , exiled or killed in fighting during World War II .

  12. 尽管如此,还是有越来越多的格鲁吉亚人认为,他们跟俄罗斯的对峙最终会对他们有利。

    Nonetheless , Georgians are increasingly hopeful that the final outcome of their confrontation with Russia will be to their advantage .

  13. 格鲁吉亚人开始看到,这个地处战略要地的小国上空虽然战争的硝烟弥漫,但仍有一丝光明。

    Georgians are beginning to see a silver lining in the clouds of war that still hang over their tiny but strategically-located nation .

  14. 持这种看法的人太多,以至于已经有超过6000格鲁吉亚人签署了一封网络请愿书来反对国家队采用这个设计。

    So much so that more than 6000 have now signed an onlinepetition , against the firm 's designs for the Georgian national team .

  15. 即便果真如此,让格鲁吉亚人相信我们将很快让他们加入北约,也是一个巨大的错误。

    To the extent that that was so , leading the Georgians on to believe that we would get them into the club soon was a big mistake .

  16. 虽然愤怒的格鲁吉亚人星期六举行了抗议游行,但是俄罗斯依然保留着波蒂港外的路障。波蒂是商品进入格鲁吉亚、其它高加索地区共和国和中亚国家的要道。

    Despite a protest march by angry Georgians Saturday , Russia is maintaining roadblocks outside Poti , which is the gateway for merchandise moving to Georgia , other Caucasus republics and Central Asia .

  17. 它希望西方会忘记其在阿布哈兹实施的种族清洗,这场清洗驱逐了逾四分之三的当地人格鲁吉亚人、希腊人、犹太人和其他人种只留下控制之中、占少数的阿布哈兹人。

    It hopes the West will forget ethnic cleansing in Abkhazia drove out more than three-quarters of the local population ethnic Georgians , Greeks , Jews and others leaving the minority Abkhaz in control .

  18. 一艘载有价值高达2亿美元原油的超级油轮在开往美国途中于阿曼东部外海遭武装海盗劫持,官方称这条悬挂希腊国旗的货船上共有25名船员,包括7名希腊人、17名菲律宾人和1名格鲁吉亚人。

    Armed have hijacked a U.S . - bound oil tanker carrying about $ 200 million worth of crude off the coast of Oman . Authorities say the Greek-flagged vessel has a crew of 25 , including 17 Filipinos , seven Greeks and one Georgian .

  19. 你要伪装成格鲁吉亚武装部队的人吗

    And you 'll be posing as members of the Georgian armed forces ?

  20. 以后,我们将继续用空军或其他设施为格鲁吉亚运送更多的人到物资和药品。

    In the days ahead , we will continue using U.S.aircraft and other assets as needed to deliver more humanitarian and medical supplies .

  21. 俄罗斯干涉格鲁吉亚之后,有人担忧俄罗斯给乌克兰施加的压力会增加,可能会鼓动拥有大量俄罗斯族人的克里木半岛独立。

    Following Russian intervention in Georgia and its recognition of two breakaway Georgian regions , there has been concern about increased Russian pressure on Ukraine and that it might try to foster a separatist movement in the Crimea , which has a large ethnic-Russian population .

  22. 在格鲁吉亚首都第比利斯,8月8号战争纪念日来临之际,格鲁吉亚人再一次愤怒的讨论著。

    In Tbilisi , Georgia 's capital , debate rages again among Georgians as the August 8th war anniversary approaches .

  23. 天主教教皇本笃十六世星期天再次强烈呼吁在格鲁吉亚开辟人道主义通道,以便将救援物资送给因战争而背井离乡的格鲁吉亚人。

    Pope Benedict XVI issued another strong appeal on Sunday for a humanitarian corridor to be opened to allow aid to get through to the displaced in Georgia .